
So my partner and I had been planning on trying for a kid this year for a while - batting the idea around for the last three years, seriously planning to try this fall/winter for the last year or so, to the point that I went off birth control to improve my odds of conceiving during the relatively narrow window that

I made beet gnocchi with a brown butter sage sauce! And froze a buttload of gnocchi for later. Tomorrow: focaccia.

I went apple picking last weekend, made a pie, and now I’m making applesauce to use up the rest of them also. Also having the burnt carrots from Six Seasons (with feta and bread to make it a meal) and going to make beet ravioli tomorrow. 

yeah fuck that guy.

my pittie is so close to naked she has to wear sweaters for 60% of the year. it never occurred to me to market her as hypoallergenic but she totally is! 

omg he’s 80% legs and 20% puppy eyes. such a fucking cutie pie. 

I have a pit bull-whippet cross and she is definitely not ergonomically sound. We’ve had to have one doggie ACL repaired and the other one is doomed, she walks like a body builder and has a tiny bum and a huge head. As a friend of mine put it, “She has the strange genetics.”

I definitely thought about that, since flirty bartenders are A Thing and it’s a pretty solid approach to a customer-facing job. Hopefully this guy isn’t like that with everyone though, for the bar’s sake, since what kicked off the whole mess was his steadfast refusal to let me pay for drinks ever and an insistence on

Well, I’m currently staring down the prospect of being single for the first time in 11 years in my 30s. Or maybe we’ll pull through and my relationship will recover, but Mr Parade seems determined to push me into ending it. Words of advice/inspirational stories of relationships making it out of a rough patch greatly

Ugh not on the same scale, but I made the gigantic mistake of asking out the cute flirty bartender at my favorite bar, who has a partner but still wants to flirt. I’m currently irritated with both him and myself and avoiding the best bar in a 2 mile radius. 

Marcella Hazan’s butter sauce. It’s idiot proof. 

Agreed. To me, the panic over surrogacy is not too far away from the panic over sex work and abortion rights - controlling a woman’s ability to utilize (or not use) her body as she sees fit. Women work long hours for shit pay in dangerous conditions all over the US (anyone see the NY Times expose on nail salons?), and

I’m in my 30s and although I love a good croptop, my staples are:

Between two parts of the text: calculated crystals:
- - -
No. 1
VASP calculation (GGA-PBE) on Th3Al7Au4 after structural relaxation. Values from VASP.

Structure (Quantum ESPRESSO input):
```
&SYSTEM
  ibrav = 0, nat = 14, ntyp = 3
/
ATOMIC_SPECIES
Au 196.97 Au.upf
Al 26.98 Al.upf
Th 232.04 Th.upf
ATOMIC_POSITIONS crystal
Au 0.1325 0.0935 0.6416
Al 0.6728 0.1897 0.4648
Al 0.5016 0.2132 0.7837
Au 0.3434 0.5292 0.7839
Al 0.1507 0.6207 0.0778
Au 0.6566 0.4708 0.2161
Al 0.8493 0.3793 0.9222
Au 0.8675 0.9065 0.3584
Th 0.3161 0.1883 0.1795
Al 0.0000 0.0000 0.0000
Al 0.4984 0.7868 0.2163
Th 0.6839 0.8117 0.8205
Al 0.3272 0.8103 0.5352
Th 0.0000 0.5000 0.5000
CELL_PARAMETERS angstrom
-2.8688 1.9663 -2.7019
-5.7865 3.4633 5.0750
1.6394 8.3936 0.7783
```

- calculated volume (Å³/cell) = 286.3
- space group = C2/m, No. 12
- density of states at the Fermi level (states/eV/cell) = 7.6
- DFT formation energy (kJ per mole of atoms) = -59.16



No. 2
VASP calculation (GGA-PBE) on TlInPb after structural relaxation. Values from VASP.

Structure (Quantum ESPRESSO input):
```
&SYSTEM
  ibrav = 0, nat = 3, ntyp = 3
/
ATOMIC_SPECIES
Pb 207.20 Pb.upf
Tl 204.38 Tl.upf
In 114.82 In.upf
ATOMIC_POSITIONS crystal
Pb 0.3400 0.3400 0.0000
Tl 0.6609 0.6609 0.0000
In 0.9991 0.9991 0.0000
CELL_PARAMETERS angstrom
-0.8586 -2.0071 -6.8898
-1.1932 -6.0738 -3.7310
-1.5187 4.4120 5.5193
```

- calculated volume (Å³/cell) = 89.9
- space group = I4mm, No. 107
- density of states at the Fermi level (states/eV/cell) = 1.2
- DFT formation energy (kJ per mole of atoms) = 1.45
- offset from the most stable computed form (meV per atom) = 6



No. 3
VASP calculation (GGA-PBE) on NaInPd2 after structural relaxation. Values from VASP.

Structure (Quantum ESPRESSO input):
```
&SYSTEM
  ibrav = 0, nat = 4, ntyp = 3
/
ATOMIC_SPECIES
Na 22.99 Na.upf
Pd 106.42 Pd.upf
In 114.82 In.upf
ATOMIC_POSITIONS crystal
Na 0.5000 0.5000 0.5000
Pd 0.2564 0.2564 0.2307
Pd 0.7436 0.7436 0.7693
In 0.0000 0.0000 0.0000
CELL_PARAMETERS angstrom
-1.3707 -1.5489 2.4610
0.4673 -3.1587 0.3719
6.6935 0.0438 5.8551
```

- calculated volume (Å³/cell) = 77.8
- space group = R-3m, No. 166
- density of states at the Fermi level (states/eV/cell) = 2.6
- DFT formation energy (kJ per mole of atoms) = -17.76



No. 4
VASP calculation (GGA-PBE) on Sc2PbS after structural relaxation. Values from VASP.

Structure (Quantum ESPRESSO input):
```
&SYSTEM
  ibrav = 0, nat = 4, ntyp = 3
/
ATOMIC_SPECIES
Pb 207.20 Pb.upf
Sc 44.96 Sc.upf
S 32.06 S.upf
ATOMIC_POSITIONS crystal
Pb 0.5000 0.5000 0.5000
Sc 0.0862 0.0862 0.0862
Sc 0.9138 0.9138 0.9138
S 0.0000 0.0000 0.0000
CELL_PARAMETERS angstrom
5.7696 -5.3625 4.8275
8.1622 -3.4069 2.6684
6.8666 -1.9121 5.8774
```

- calculated volume (Å³/cell) = 110.5
- space group = R-3m, No. 166
- density of states at the Fermi level (states/eV/cell) = 2.9
- formation energy from raw total energies (eV per formula unit) = -1.65
- offset from the most stable computed form (meV per atom) = 742



No. 5
- - -

My most vivid memory of seeing Titanic in theaters (with my mom chaperoning a gaggle of 11 year old girls, obvs) is when the boat first starts to sink and shit is falling over the place and my mom loudly exclaimed, “Oh no, they’re breaking all of those beautiful dishes!”

Ugh I LOVED that Georgian series! I wish more romances were set then, so much fun with better clothes. 

For our honeymoon, Mr Parade and I spent 5 days in Rome, then rented a car and drove to Abruzzo, where we spent every day hiking, exploring medieval villages, and eating ourselves silly. We then took the ferry from Bari to Croatia, spent a week in Cavtat (beach village ~20 minutes south of Dubrovnik), and then took

I was planning on making a greens and asparagus frittata. Now I might order General Tso’s instead.

Where in your uterus was the fibroid? The rule of thumb is that classical c-sections (with a vertical incision on the uterus rather than horizontal) or any surgery that requires an incision into the uterine cavity increases the risk of rupture so much that you can’t labor. Fibroids can be on the inner lining of the

One of the greatest displays of community spirit I’ve ever witnessed was on the L at rush hour. It was so crowded I could barely get my coffee mug to my face, but there was this woman hauling an obviously miserable six year old child who started to make little retching sounds, and someone else yelled “WE NEED A BAG

I’m making vaguely Caribbean braised oxtail with butterbeans over rice, and since that’s not going to be ready for another few hours I’m making cream of mushroom soup for my dad’s lunch tomorrow to keep myself busy.